What to do.
Could you return the lines below from the one with "18.9, 14," to the one with "0.2473 (multiplicity" word for word?

Material.
Starting from a cell relaxed with GGA-PBE, the powder diffractogram of Pm2TlHg was calculated for Cu Kα X-rays.

Principal peaks in the range 5° ≤ 2θ ≤ 70°, by angle:
two_theta, I_rel, h k l
23.1, 26, 2 0 0
32.8, 1000, 2 2 0
40.5, 9, 2 2 2
47.1, 185, 4 0 0
53.1, 13, 4 2 0
58.6, 388, 4 2 2
68.8, 120, 4 4 0

Structural model:
```
data_Pm2TlHg
_cell_length_a 7.7166
_cell_length_b 7.7166
_cell_length_c 7.7166
_cell_angle_alpha 90.00
_cell_angle_beta 90.00
_cell_angle_gamma 90.00
_symmetry_space_group_name_H-M 'F m -3 m'
_symmetry_Int_Tables_number 225
_symmetry_space_group_name_Hall '-F 4 2 3'
loop_
_atom_site_label
_atom_site_fract_x
_atom_site_fract_y
_atom_site_fract_z
_atom_site_occupancy
Pm1 0.2500 0.2500 0.2500 1
Tl1 0.0000 0.0000 0.0000 1
Hg1 0.0000 0.0000 0.5000 1
```

=====

Starting from a cell relaxed with GGA-PBE, the powder diffractogram of GdGeIr was calculated for Cu Kα X-rays.

Principal peaks in the range 5° ≤ 2θ ≤ 70°, by angle:
two_theta, I_rel, h k l
33.8, 896, 1 1 2
34.9, 360, 2 0 2
35.0, 1000, 2 1 1
40.5, 499, 3 0 1
41.1, 704, 0 1 3
41.4, 573, 0 2 0
59.3, 328, 3 2 1
67.0, 454, 3 1 4

Structural model:
```
data_GdGeIr
_cell_length_a 6.9814
_cell_length_b 4.3638
_cell_length_c 7.6198
_cell_angle_alpha 90.00
_cell_angle_beta 90.00
_cell_angle_gamma 90.00
_symmetry_space_group_name_H-M 'P n m a'
_symmetry_Int_Tables_number 62
_symmetry_space_group_name_Hall '-P 2ac 2n'
loop_
_atom_site_label
_atom_site_fract_x
_atom_site_fract_y
_atom_site_fract_z
_atom_site_occupancy
Gd1 0.0006 0.2500 0.1931 1
Ge1 0.2056 0.7500 0.3946 1
Ir1 0.1613 0.2500 0.5697 1
```

=====

Starting from a cell relaxed with GGA-PBE, the powder diffractogram of ErPa3 was calculated for Cu Kα X-rays.

Principal peaks in the range 5° ≤ 2θ ≤ 70°, by angle:
two_theta, I_rel, h k l
18.9, 14, 1 0 0
26.8, 13, 1 1 0
33.0, 1000, 1 1 1
38.3, 505, 2 0 0
43.0, 8, 2 1 0
55.2, 357, 2 2 0
65.9, 425, 3 1 1
69.2, 123, 2 2 2

Structural model:
```
data_ErPa3
_cell_length_a 4.7038
_cell_length_b 4.7038
_cell_length_c 4.7038
_cell_angle_alpha 90.00
_cell_angle_beta 90.00
_cell_angle_gamma 90.00
_symmetry_space_group_name_H-M 'P m -3 m'
_symmetry_Int_Tables_number 221
_symmetry_space_group_name_Hall '-P 4 2 3'
loop_
_atom_site_label
_atom_site_fract_x
_atom_site_fract_y
_atom_site_fract_z
_atom_site_occupancy
Er1 0.0000 0.0000 0.0000 1
Pa1 0.0000 0.5000 0.5000 1
```

=====

Starting from a cell relaxed with GGA-PBE, the powder diffractogram of Nd2MgS4 was calculated for Cu Kα X-rays.

Principal peaks in the range 5° ≤ 2θ ≤ 70°, by angle:
two_theta, I_rel, h k l
13.3, 968, 1 1 1
25.7, 1000, 3 1 1
26.9, 258, 2 2 2
31.1, 924, 4 0 0
34.0, 269, 3 3 1
40.8, 411, 5 1 1
44.6, 840, 4 4 0
46.8, 254, 5 3 1

Structural model:
a b c (Å): 11.4919 11.4919 11.4919
angles (deg): 90.00 90.00 90.00
Space group Fd-3m (No. 227, origin choice 2)
Asymmetric unit:
Nd  0.0000  0.0000  0.0000 (multiplicity 16)
Mg  0.1250  0.1250  0.6250 (multiplicity 8)
S  0.0027  0.0027  0.2473 (multiplicity 32)

=====

Starting from a cell relaxed with GGA-PBE, the powder diffractogram of Hf5Re24 was calculated for Cu Kα X-rays.

Principal peaks in the range 5° ≤ 2θ ≤ 70°, by angle:
two_theta, I_rel, h k l
36.7, 55, 4 0 0
39.1, 1000, 4 1 1
43.4, 270, 3 3 2
45.4, 95, 4 2 2
47.4, 163, 4 3 1
63.0, 25, 6 2 2
66.2, 62, 4 4 4
67.7, 101, 5 5 0

Structural model:
```
data_Hf5Re24
_cell_length_a 9.7847
_cell_length_b 9.7847
_cell_length_c 9.7847
_cell_angle_alpha 90.00
_cell_angle_beta 90.00
_cell_angle_gamma 90.00
_symmetry_space_group_name_H-M 'I -4 3 m'
_symmetry_Int_Tables_number 217
_symmetry_space_group_name_Hall 'I -4 2 3'
loop_
_atom_site_label
_atom_site_fract_x
_atom_site_fract_y
_atom_site_fract_z
_atom_site_occupancy
Hf1 0.0000 0.0000 0.0000 1
Hf2 0.1852 0.1852 0.1852 1
Re1 0.0364 0.3591 0.6409 1
Re2 0.0909 0.0909 0.7151 1
```

=====

Starting from a cell relaxed with GGA-PBE, the powder diffractogram of Cr2Co was calculated for Cu Kα X-rays.

Principal peaks in the range 5° ≤ 2θ ≤ 70°, by angle:

Here it is.
18.9, 14, 1 0 0
26.8, 13, 1 1 0
33.0, 1000, 1 1 1
38.3, 505, 2 0 0
43.0, 8, 2 1 0
55.2, 357, 2 2 0
65.9, 425, 3 1 1
69.2, 123, 2 2 2

Structural model:
```
data_ErPa3
_cell_length_a 4.7038
_cell_length_b 4.7038
_cell_length_c 4.7038
_cell_angle_alpha 90.00
_cell_angle_beta 90.00
_cell_angle_gamma 90.00
_symmetry_space_group_name_H-M 'P m -3 m'
_symmetry_Int_Tables_number 221
_symmetry_space_group_name_Hall '-P 4 2 3'
loop_
_atom_site_label
_atom_site_fract_x
_atom_site_fract_y
_atom_site_fract_z
_atom_site_occupancy
Er1 0.0000 0.0000 0.0000 1
Pa1 0.0000 0.5000 0.5000 1
```

=====

Starting from a cell relaxed with GGA-PBE, the powder diffractogram of Nd2MgS4 was calculated for Cu Kα X-rays.

Principal peaks in the range 5° ≤ 2θ ≤ 70°, by angle:
two_theta, I_rel, h k l
13.3, 968, 1 1 1
25.7, 1000, 3 1 1
26.9, 258, 2 2 2
31.1, 924, 4 0 0
34.0, 269, 3 3 1
40.8, 411, 5 1 1
44.6, 840, 4 4 0
46.8, 254, 5 3 1

Structural model:
a b c (Å): 11.4919 11.4919 11.4919
angles (deg): 90.00 90.00 90.00
Space group Fd-3m (No. 227, origin choice 2)
Asymmetric unit:
Nd  0.0000  0.0000  0.0000 (multiplicity 16)
Mg  0.1250  0.1250  0.6250 (multiplicity 8)
S  0.0027  0.0027  0.2473 (multiplicity 32)